

+++
Sr3LaGaCo2O9: simulated PXRD pattern (λ = 1.5418 Å (Cu Kα)), based on a cell relaxed with PBE+U.
Lines closer than 0.1° are merged.

Structural model:
Unit cell a=14.318 b=14.305 c=4.040 alpha=82.06 beta=81.71 gamma=16.23
Fractional positions:
Sr (0.000, 0.000, 0.000)
Sr (0.127, 0.127, 0.873)
Sr (0.726, 0.726, 0.274)
La (0.850, 0.850, 0.150)
Ga (0.572, 0.572, 0.428)
Co (0.279, 0.279, 0.721)
Co (0.415, 0.415, 0.585)
O (0.058, 0.058, 0.442)
O (0.142, 0.713, 0.287)
O (0.213, 0.213, 0.787)
O (0.289, 0.289, 0.211)
O (0.352, 0.352, 0.648)
O (0.558, 0.558, 0.942)
O (0.638, 0.638, 0.362)
O (0.713, 0.142, 0.858)
O (0.789, 0.789, 0.711)

Peak list (6 most intense, 2θ = 10–90°, by angle)
2theta, d [Å], I_rel
31.0, 2.887, 32
31.5, 2.844, 100
31.7, 2.825, 38
44.9, 2.019, 34
55.4, 1.659, 22
56.3, 1.635, 27

----------

# Al5GaCu2
Computed powder XRD pattern, Cu Kα (weighted mean of Kα1 and Kα2). Input: a structure optimized by DFT (GGA-PBE).
Kinematic intensities with the Lorentz-polarization factor, no thermal factor.

```
data_Al5GaCu2
_chemical_formula_sum 'Al10 Ga2 Cu4'
_symmetry_space_group_name_H-M 'I m m m'
_symmetry_Int_Tables_number 71
_symmetry_space_group_name_Hall '-I 2 2'
_cell_length_a 3.8299
_cell_length_b 7.6437
_cell_length_c 9.0416
_cell_angle_alpha 90.00
_cell_angle_beta 90.00
_cell_angle_gamma 90.00
loop_
_atom_site_label
_atom_site_fract_x
_atom_site_fract_y
_atom_site_fract_z
_atom_site_occupancy
Al1 0.0000 0.0000 0.0000 1
Al2 0.0000 0.3129 0.3473 1
Ga1 0.0000 0.5000 0.0000 1
Cu1 0.0000 0.0000 0.2735 1
```

Top 12 peaks for 10° ≤ 2θ ≤ 80°, by angle:
Position (°2θ)  I (rel.)  hkl
15.2  18  0 1 1
23.3  58  0 2 0
32.8  100  1 1 2
34.6  49  1 2 1
36.6  21  0 3 1
38.0  85  1 0 3
42.6  32  1 3 0
46.7  58  0 2 4
47.3  58  1 3 2
47.5  38  2 0 0
47.6  18  0 4 0
68.8  36  2 2 4

----------

Diffraction record for RbPO4. The X-ray powder pattern is simulated, not measured: it uses a structure optimized by DFT (GGA-PBE) and Cu Kα, 1.54184 Å.
Peak positions follow from Bragg's law for the DFT cell and can differ from measured ones.

Most intense lines, 5° ≤ 2θ ≤ 70°, in order of falling intensity:
| h k l | d [Å] | Position (°2θ) | I_rel |
| --- | --- | --- | --- |
| 1 1 -2 | 3.788 | 23.49 | 100 |
| 2 2 0 | 2.382 | 37.76 | 49 |
| 2 0 0 | 3.734 | 23.83 | 46 |
| 1 1 2 | 3.066 | 29.12 | 45 |
| 0 2 0 | 3.097 | 28.83 | 25 |
| 2 2 -2 | 2.335 | 38.55 | 14 |

Structural model:
```
data_RbPO4
_chemical_formula_sum 'Rb4 P4 O16'
_space_group_name_H-M_alt 'P 1 21 1'
_space_group_IT_number 4
_cell_length_a 7.9003
_cell_length_b 6.1943
_cell_length_c 10.0831
_cell_angle_alpha 90.00
_cell_angle_beta 109.04
_cell_angle_gamma 90.00
loop_
_space_group_symop_operation_xyz
'x,y,z'
'-x,y+1/2,-z'
loop_
_atom_site_label
_atom_site_type_symbol
_atom_site_fract_x
_atom_site_fract_y
_atom_site_fract_z
_atom_site_occupancy
Rb1 Rb 0.2429 0.0000 0.4752 1
Rb2 Rb 0.2435 0.9823 0.9757 1
P1 P 0.2581 0.4848 0.2380 1
P2 P 0.2612 0.4965 0.7395 1
O1 O 0.0962 0.5032 0.7915 1
+++


There is a reason why movies sometimes use Doberman Pinschers after they want to solid a fearsome dog; the intimidation factor in this breed is basically strong. As the name implies, the Wolf Hybrid also known as the Wolf canine is a crossbreed between a canine and a wolf (typically a gray wolf). Doberman Pinschers are a breed of home dogs that originated from Germany in 1890. It’s a excessive quality that’s been handed down from father to son or daughter to granddaughter. As a breed, the Shar Pei has a robust sense of self-determination and a bent to mark its territory. Some places, like Manitoba, even have seen successes with breed-specific legislation. They were developed by Karl Friedrich Louis Doberman (hence the name). However, Dobermans react negatively to unknown people treading upon its home turf. Are German Shepherds Dangerous? They are critical guarding dogs means they may do no matter it takes to defend their territory, their grasp, and what they understand as theirs. Despite its diminutive stature, the Chihuahua’s aggressiveness should not be underestimated.

(Inserted here: materials data)
____________
Starting from a DFT-relaxed cell (PBE, Alexandria), the XRD peak list of PmTm2Al4 was computed for Cu Kα (λ = 1.5418 Å).
Lines closer than 0.1° are merged.

Top 8 peaks for 2θ = 10–90°, by angle:
2θ/deg, d_spacing, I (rel.), hkl
23.93, 3.719, 73, 0 1 3
32.99, 2.715, 100, 1 1 2
33.74, 2.657, 62, 1 0 5
37.82, 2.379, 40, 0 1 7
39.83, 2.263, 25, 0 2 0
49.27, 1.850, 21, 1 1 8
53.16, 1.723, 34, 1 2 5
66.14, 1.413, 21, 2 2 0

Structure:
abc: 3.6183 4.5270 19.5691
angles: 90.00 90.00 90.00
Space group Immm (No. 71)
Inequivalent atoms, fractional coordinates:
Pm  0.0000  0.0000  0.0000 (multiplicity 2)
Tm  0.0000  0.5000  0.1961 (multiplicity 4)
Al  0.0000  0.0000  0.4318 (multiplicity 4)
Al  0.0000  0.5000  0.3574 (multiplicity 4)

* * * * *

# 1
Starting from a DFT-relaxed cell (PBE+U, Alexandria), the X-ray diffraction stick pattern of LiFePO4 was simulated for copper Kα.

Crystal structure
Unit cell a=5.2671 b=5.2671 c=13.2135 alpha=90.00 beta=90.00 gamma=120.00
Space group P6_222 (No. 180)
Asymmetric unit:
Li: 0.0000 0.0000 0.0000 (multiplicity 3)
Fe: 0.0000 0.5000 0.1667 (multiplicity 3)
P: 0.0000 0.5000 0.6667 (multiplicity 3)
O: 0.1824 0.4046 0.7322 (multiplicity 12)

The 10 most intense peaks (10 to 90 degrees two-theta), by angle:
| Position (°2θ) | d/Å | intensity |
| --- | --- | --- |
| 19.5 | 4.561 | 10 |
| 23.7 | 3.754 | 100 |
| 33.5 | 2.675 | 8 |
| 39.5 | 2.281 | 7 |
| 44.0 | 2.059 | 20 |
| 55.0 | 1.668 | 10 |
| 58.2 | 1.584 | 12 |
| 60.6 | 1.528 | 5 |
| 66.9 | 1.399 | 4 |
| 76.7 | 1.243 | 5 |

# 2
Starting from a DFT-relaxed cell (PBE+U, Alexandria), the X-ray diffraction stick pattern of LiFePO4 was simulated for copper Kα.

Crystal structure
Unit cell a=5.6194 b=6.3137 c=9.2310 alpha=75.05 beta=82.43 gamma=76.72
Space group P-1 (No. 2)
Asymmetric unit:
Li: 0.1027 0.4746 0.2468 (multiplicity 2)
Li: 0.3658 0.6302 0.6150 (multiplicity 2)
Fe: 0.2241 0.8346 0.9135 (multiplicity 2)
Fe: 0.3311 0.9489 0.2911 (multiplicity 2)
P: 0.1868 0.1805 0.5778 (multiplicity 2)
P: 0.3048 0.3029 0.9517 (multiplicity 2)
O: 0.0717 0.7265 0.3539 (multiplicity 2)
O: 0.1137 0.1649 0.9423 (multiplicity 2)
O: 0.1637 0.1799 0.4125 (multiplicity 2)
O: 0.2111 0.5419 0.8556 (multiplicity 2)
O: 0.2913 0.9392 0.6731 (multiplicity 2)
O: 0.3330 0.2907 0.1192 (multiplicity 2)
O: 0.3817 0.3205 0.5819 (multiplicity 2)
O: 0.4333 0.7942 0.1109 (multiplicity 2)

The 10 most intense peaks (10 to 90 degrees two-theta), by angle:
| Position (°2θ) | d/Å | intensity |
| --- | --- | --- |
| 14.8 | 5.971 | 100 |
| 21.9 | 4.054 | 45 |
| 24.8 | 3.584 | 31 |
| 31.9 | 2.804 | 44 |
| 32.9 | 2.725 | 84 |
| 33.1 | 2.709 | 38 |
| 33.3 | 2.693 | 42 |
| 35.2 | 2.547 | 50 |
| 35.6 | 2.523 | 39 |
| 52.1 | 1.756 | 30 |

# 3
Starting from a DFT-relaxed cell (PBE+U, Alexandria), the X-ray diffraction stick pattern of LiFeP2O7 was simulated for copper Kα.

Crystal structure
Unit cell a=6.9694 b=8.2638 c=9.3530 alpha=90.00 beta=108.79 gamma=90.00
Space group Cc (No. 9)
Asymmetric unit:
____________

Early socialization and pet training lessons are a should for the Kuwaz pet. Kuvas was reared to guard livestock, and is a natural protector and can defend family, home and property. Affected canines usually present in adulthood with gradual muscle Atrophy and lack of coordination typically starting within the hind limbs due to degeneration of the nerves. Kuvas coaching takes endurance, as this impartial breed steadily matures. Sensitive problem-solvers, Kuwaz don't reply properly to rigorous or repetitive coaching methods. The situation isn't sometimes painful for the canine, however will progress till the dog is now not capable of walk. Make sure that the breeder you choose screens their dogs for inherited health conditions before you agree to buy a puppy. Kuvasz: What's Good About 'Em, What's Bad About 'Em The illness affects the White Matter tissue of the spinal wire and is taken into account the canine equivalent to amyotrophic lateral sclerosis (Lou Gehrig’s disease) present in people. The Kuvaszok dog is not a common breed within the United States, and you could end up having to ship your new pet long distances or even from outside of the nation.

Basset Hounds are well-liked for their placid character, short-statured, noble appearance, and memorable hunting instincts. Dogs With Long Ears And Reasons Why They Have Long Ears Bulldogs are also vulnerable to skin fold dermatitis, cherry eye, dry eye, entropion and mange. Number of reads matching each allele in dog and wolf are proven. The breed’s looking origins are still evident in modern Basset Hounds. While they're no longer generally used for looking, their distinctive sense of scent and monitoring skills stay intact. List of SNPs inferred to be mounted for different alleles between canine and wolves. Today, Basset Hounds are primarily cherished as companion animals, appreciated for his or her mild and affectionate nature.

World War 2 put the Kuvaszok at even greater danger than earlier than. Kuvasz Breed Organizations Like any dog, Kuvasz puppies are inveterate chewers and due to their measurement can do more injury than puppies of other breeds. Courageous, determined, and unbiased are the main traits of the Kuvasz breed. Along with their defensive qualities, they also are typically hesitant towards strangers. They have a powerful intuition to protect and can do no matter they will to maintain their household out of harm’s way. They become alert, responsive, and loyal canines, making the consistent optimistic reinforcement worthwhile. These canine are intelligent, able to choosing up new instructions with ease. Don't give them the run of the home till they've reached trustworthy maturity.

This canine was specially bred and that too to have a powerful sense of scent to hunt hare. They got here by their name because of their use for ahalim.Com hunting the woodcock. Since they are stable and short, with short legs, they have a capability to put their nose to the ground and observe the scent.

=====
Diffraction record for HoGe12Rh4. The powder XRD pattern is computed, not measured: it uses a PBE-relaxed structure and a wavelength of 1.5418 Å.
Lines closer than 0.1° are merged.

Largest 6 diffraction maxima, by angle, 10 to 80 degrees two-theta:
2θ 29.26, d 3.052, I = 36
2θ 32.80, d 2.730, I = 100
2θ 39.04, d 2.307, I = 51
2θ 47.07, d 1.930, I = 29
2θ 51.88, d 1.762, I = 50
2θ 54.17, d 1.693, I = 38

Unit cell a=7.4768 b=7.4768 c=7.4768 alpha=109.47 beta=109.47 gamma=109.47
Fractional coordinates of all 17 atoms:
Ho 0.0000 0.0000 0.0000
Ge 0.1525 0.5005 0.3480
Ge 0.1525 0.8045 0.6520
Ge 0.1955 0.3480 0.8475
Ge 0.3480 0.1525 0.5005
Ge 0.3480 0.8475 0.1955
Ge 0.4995 0.6520 0.8475
Ge 0.5005 0.3480 0.1525
Ge 0.6520 0.1525 0.8045
Ge 0.6520 0.8475 0.4995
Ge 0.8045 0.6520 0.1525
Ge 0.8475 0.1955 0.3480
Ge 0.8475 0.4995 0.6520
Rh 0.0000 0.0000 0.5000
Rh 0.0000 0.5000 0.0000
Rh 0.5000 0.0000 0.0000
Rh 0.5000 0.5000 0.5000


Diffraction record for Ho4TlCd5. The powder XRD pattern is computed, not measured: it uses a PBE-relaxed structure and a wavelength of 1.5418 Å.
Lines closer than 0.1° are merged.

Largest 6 diffraction maxima, by angle, 10 to 80 degrees two-theta:
2θ 33.67, d 2.662, I = 52
2θ 34.29, d 2.615, I = 100
2θ 34.48, d 2.601, I = 100
2θ 34.77, d 2.580, I = 50
2θ 49.18, d 1.853, I = 36
2θ 62.03, d 1.496, I = 18

Unit cell a=8.2087 b=8.2087 c=6.4909 alpha=104.15 beta=104.15 gamma=36.64
Fractional coordinates of all 10 atoms:
Ho 0.0975 0.0975 0.3778
Ho 0.3069 0.3069 0.1854
Ho 0.6931 0.6931 0.8146
Ho 0.9025 0.9025 0.6222
Tl 0.5000 0.5000 0.5000
Cd 0.0998 0.0998 0.9039
Cd 0.2929 0.2929 0.6836
Cd 0.5000 0.5000 0.0000
Cd 0.7071 0.7071 0.3164
Cd 0.9002 0.9002 0.0961


Diffraction record for Lu5Ta. The powder XRD pattern is computed, not measured: it uses a PBE-relaxed structure and a wavelength of 1.5418 Å.
Lines closer than 0.1° are merged.

Largest 6 diffraction maxima, by angle, 10 to 80 degrees two-theta:
2θ 32.68, d 2.740, I = 100
2θ 37.80, d 2.380, I = 17
2θ 37.98, d 2.369, I = 33
2θ 54.66, d 1.679, I = 23
2θ 65.03, d 1.434, I = 14
2θ 65.29, d 1.429, I = 25

Unit cell a=4.7360 b=14.2220 c=4.7605 alpha=90.00 beta=90.00 gamma=90.00
Fractional coordinates of all 12 atoms:
Lu 0.0000 0.0000 0.0000
Lu 0.0000 0.1545 0.5000
Lu 0.0000 0.3432 0.0000
Lu 0.0000 0.6568 0.0000
Lu 0.0000 0.8455 0.5000
Lu 0.5000 0.1568 0.0000
Lu 0.5000 0.3455 0.5000
Lu 0.5000 0.5000 0.0000
Lu 0.5000 0.6545 0.5000
Lu 0.5000 0.8432 0.0000
Ta 0.0000 0.5000 0.5000
Ta 0.5000 0.0000 0.5000

~~~~~

Computed powder diffractogram of LiB2O3 for λ = 1.5418 Å (Cu Kα), from a crystal structure in the Materials Project, relaxed with GGA-PBE.

abc: 10.318 10.318 10.318
angles: 109.68 109.68 109.05
Sites, in units of the cell vectors:
Li1 0.015 0.514 0.029
Li2 0.236 0.235 0.471
Li3 0.264 0.735 0.999
Li4 0.485 0.986 0.971
Li5 0.515 0.486 0.501
Li6 0.736 0.265 0.001
Li7 0.764 0.765 0.529
Li8 0.985 0.014 0.499
B1 0.036 0.565 0.700
B2 0.047 0.326 0.546
B3 0.076 0.030 0.779
=====

With a lean and muscular build, remarkable endurance, and a natural instinct for teamwork, they are among the quickest sled dogs on the planet. While they may attain their full peak and weight by the point they are a yr old, they will continue to fill out and gain muscle till they are around two years old. On common, a totally grown Siberian Husky stands between inches on the shoulder and weighs between pounds. Huskies are a powerful and energetic breed, and so they can easily slip out of collars which might be too loose or not secure enough. During this time, it's necessary to feed them a healthy diet and provide them with loads of exercise to help support their growth and growth. From their wealthy history as sled canine to their extraordinary physical talents and endearing personality traits, get able to uncover the secrets behind these captivating creatures. Siberian Husky Breed Maintenance Both breeds are recognized for his or her excessive energy and stamina, however the Alaskan Malamute tends to be more laid-back and fewer energetic than the Siberian Husky. In this weblog publish, we’ll delve into the facts about Huskies that make them actually special.